## Material
/*
The following is a calculated powder XRD pattern of Tl2Cd2Ge. It was derived from a cell relaxed with PBE, using Cu Kα (λ = 1.5418 Å).
Lines closer than 0.1° are merged.

The 10 most intense peaks (10 to 90 degrees two-theta), in order of rising 2θ:
- 2θ 24.58, d = 3.622 Å, I 9
- 2θ 30.13, d = 2.966 Å, I 18
- 2θ 32.63, d = 2.745 Å, I 100
- 2θ 34.73, d = 2.583 Å, I 24
- 2θ 39.33, d = 2.291 Å, I 21
- 2θ 53.46, d = 1.714 Å, I 17
- 2θ 55.22, d = 1.663 Å, I 17
- 2θ 60.93, d = 1.521 Å, I 17
- 2θ 65.54, d = 1.424 Å, I 8
- 2θ 72.63, d = 1.302 Å, I 10

Atomic structure:
Cell lengths 7.244, 7.244, 5.166 Å; angles 90.00, 90.00, 90.00 degrees
Space group P4/mbm (No. 127)
One atom of each set of equivalent atoms:
Tl  0.173  0.327  0.000 (multiplicity 4)
Cd  0.142  0.642  0.500 (multiplicity 4)
Ge  0.000  0.000  0.500 (multiplicity 2)

=====

[1]
RbCd3O3: calculated XRD peak list (λ = 1.5418 Å (Cu Kα)), based on a structure optimized by DFT (GGA-PBE).
No peak broadening, texture or thermal motion is included.

Cell and atoms:
```
data_RbCd3O3
_space_group_name_H-M_alt 'R -3'
_space_group_IT_number 148
_space_group_name_Hall '-R 3'
_cell_length_a 6.4866
_cell_length_b 6.4866
_cell_length_c 23.5617
_cell_angle_alpha 90.00
_cell_angle_beta 90.00
_cell_angle_gamma 120.00
loop_
_atom_site_label
_atom_site_fract_x
_atom_site_fract_y
_atom_site_fract_z
Rb1 0.0000 0.0000 0.1670
Cd1 0.0014 0.3156 0.6197
O1 0.9996 0.3492 0.4050
```

Principal peaks in the range 15 to 90 degrees two-theta, in order of falling intensity:
| (hkl) | 2theta | I/Imax |
| --- | --- | --- |
| 2 -1 3 | 29.8 | 100 |
| 1 1 6 | 35.9 | 76 |
| 3 0 0 | 48.6 | 36 |
| 0 0 9 | 34.3 | 28 |
| 3 0 9 | 60.8 | 27 |
| 1 1 9 | 44.5 | 15 |
| 2 -1 12 | 54.6 | 14 |
| 2 2 3 | 58.1 | 14 |
| 4 -2 6 | 61.9 | 14 |
| 1 1 15 | 66.1 | 12 |


[2]
Ac3Cd2Au8: calculated XRD peak list (λ = 1.5418 Å (Cu Kα)), based on a structure optimized by DFT (GGA-PBE).
No peak broadening, texture or thermal motion is included.

Cell and atoms:
```
data_Ac3Cd2Au8
_space_group_name_H-M_alt 'R -3 m'
_space_group_IT_number 166
_space_group_name_Hall '-R 3 2"'
_cell_length_a 5.6732
_cell_length_b 5.6732
_cell_length_c 37.1896
_cell_angle_alpha 90.00
_cell_angle_beta 90.00
_cell_angle_gamma 120.00
loop_
_atom_site_label
_atom_site_fract_x
_atom_site_fract_y
_atom_site_fract_z
Ac1 0.0000 0.0000 0.0000
Ac2 0.0000 0.0000 0.2374
Cd1 0.0000 0.0000 0.3947
Au1 0.0000 0.0000 0.3200
Au2 0.0047 0.5023 0.8000
```

Principal peaks in the range 15 to 90 degrees two-theta, in order of falling intensity:
| (hkl) | 2theta | I/Imax |
| --- | --- | --- |
| 1 1 3 | 32.4 | 100 |
| 2 0 5 | 38.6 | 83 |
| 2 0 2 | 36.9 | 80 |
| 1 0 13 | 36.3 | 72 |
| 1 1 12 | 43.2 | 54 |
| 0 2 10 | 44.2 | 53 |
| 1 1 0 | 31.5 | 51 |
| 2 2 0 | 65.9 | 49 |
| 0 0 9 | 21.5 | 48 |
| 0 1 8 | 26.4 | 45 |


[3]
PmNdHgO: calculated XRD peak list (λ = 1.5418 Å (Cu Kα)), based on a structure optimized by DFT (GGA-PBE).
No peak broadening, texture or thermal motion is included.

Cell and atoms:
```
data_PmNdHgO
_space_group_name_H-M_alt 'I m m 2'
_space_group_IT_number 44
_cell_length_a 3.7754
_cell_length_b 3.7918
_cell_length_c 13.7700
_cell_angle_alpha 90.00
_cell_angle_beta 90.00
_cell_angle_gamma 90.00
loop_
_space_group_symop_operation_xyz
'x,y,z'
'-x,-y,z'
'-x,y,z'
'x,-y,z'
'x+1/2,y+1/2,z+1/2'
'-x+1/2,-y+1/2,z+1/2'
'-x+1/2,y+1/2,z+1/2'
'x+1/2,-y+1/2,z+1/2'
loop_
_atom_site_label
_atom_site_fract_x
_atom_site_fract_y
_atom_site_fract_z
Pm1 0.0000 0.0000 0.0000
Nd1 0.0000 0.0000 0.6948
Hg1 0.0000 0.0000 0.3477
O1 0.0000 0.5000 0.5956
```

Principal peaks in the range 15 to 90 degrees two-theta, in order of falling intensity:
| (hkl) | 2theta | I/Imax |
| --- | --- | --- |
| 0 1 3 | 30.6 | 100 |
| 1 1 0 | 33.5 | 38 |
| 1 1 6 | 52.5 | 21 |
| 1 2 3 | 58.0 | 17 |
| 2 1 3 | 58.2 | 16 |
| 0 0 6 | 39.3 | 11 |
| 0 2 0 | 48.0 | 8 |
| 1 0 9 | 65.8 | 8 |
| 2 0 0 | 48.2 | 8 |
| 1 0 5 | 40.5 | 6 |


[4]
*/
## What to do
Work out how many lines earlier on have the word "cell" in them; a number is enough.
## Done
1